Brief
Copy the lines further below from the one with "-2'" to the one with "-0.24720 Ry" word for word.

Material
-- begin --
Record 1
The following is a DFT calculation (PBE) of a relaxed SrHgPO crystal.

```
data_SrHgPO
_chemical_formula_sum 'Sr2 Hg2 P2 O2'
_cell_length_a 3.6648
_cell_length_b 6.5175
_cell_length_c 7.4928
_cell_angle_alpha 90.00
_cell_angle_beta 90.00
_cell_angle_gamma 90.00
_symmetry_space_group_name_H-M 'P m c 21'
_symmetry_Int_Tables_number 26
_symmetry_space_group_name_Hall 'P 2c -2'
loop_
_atom_site_label
_atom_site_type_symbol
_atom_site_fract_x
_atom_site_fract_y
_atom_site_fract_z
Sr1 Sr 0.0000 0.0759 0.0000
Hg1 Hg 0.5000 0.4080 0.3822
P1 P 0.5000 0.2740 0.7035
O1 O 0.0000 0.2000 0.2939
```

## Properties
VASP energy: -3.83 eV/atom
ρ: 6.220 Mg/m³

---

Record 2
The following is a DFT calculation (PBE) of a relaxed Cu5Ag4 crystal.

```
data_Cu5Ag4
_chemical_formula_sum 'Cu10 Ag8'
_cell_length_a 13.8385
_cell_length_b 2.8291
_cell_length_c 6.7855
_cell_angle_alpha 90.00
_cell_angle_beta 96.94
_cell_angle_gamma 90.00
_symmetry_space_group_name_H-M 'C 1 2/m 1'
_symmetry_Int_Tables_number 12
_symmetry_space_group_name_Hall '-C 2y'
loop_
_atom_site_label
_atom_site_type_symbol
_atom_site_fract_x
_atom_site_fract_y
_atom_site_fract_z
Cu1 Cu 0.0000 0.0000 0.0000
Cu2 Cu 0.0587 0.5000 0.3132
Cu3 Cu 0.2197 0.0000 0.3487
Ag1 Ag 0.1063 0.0000 0.6498
Ag2 Ag 0.1637 0.5000 0.0114
```

## Properties
ΔH_f (0 K): 0.10 eV per atom
ρ: 9.435 Mg/m³
offset from the most stable computed form: 56.1 meV/atom

---

Record 3
The following is a DFT calculation (PBE) of a relaxed Hf4InFeC2 crystal.

```
data_Hf4InFeC2
_chemical_formula_sum 'Hf4 In1 Fe1 C2'
_cell_length_a 3.2698
_cell_length_b 3.2698
_cell_length_c 14.1554
_cell_angle_alpha 90.00
_cell_angle_beta 90.00
_cell_angle_gamma 120.00
_symmetry_space_group_name_H-M 'P -6 m 2'
_symmetry_Int_Tables_number 187
_symmetry_space_group_name_Hall 'P -6 2'
loop_
_atom_site_label
_atom_site_type_symbol
_atom_site_fract_x
_atom_site_fract_y
_atom_site_fract_z
Hf1 Hf 0.0000 0.0000 0.1378
Hf2 Hf 0.6667 0.3333 0.3203
In1 In 0.0000 0.0000 0.5000
Fe1 Fe 0.6667 0.3333 0.0000
C1 C 0.3333 0.6667 0.2370
```

## Properties
VASP energy: -9.19 eV/atom
ρ: 11.512 Mg/m³

* * * * *

DFT (PBE-GGA) results for a relaxed NaSnCl2 crystal.

Calculated values
**Final energy**: -0.24720 Ry per atom
**D(E_F)**: 0.5 states/eV/f.u.
**E_form (uncorrected)**: -1.11 eV/atom
**Total magnetization**: 0.0 Bohr magnetons per cell

Cell lengths 9.0052, 9.0052, 9.0052 Å; angles 24.14, 24.14, 24.14 degrees
Positions (direct):
Na1 0.5000 0.5000 0.5000
Cl1 0.8972 0.8972 0.8972
Cl2 0.1028 0.1028 0.1028
Sn1 0.0000 0.0000 0.0000
-- stop --

Worked solution
_symmetry_space_group_name_Hall 'P 2c -2'
loop_
_atom_site_label
_atom_site_type_symbol
_atom_site_fract_x
_atom_site_fract_y
_atom_site_fract_z
Sr1 Sr 0.0000 0.0759 0.0000
Hg1 Hg 0.5000 0.4080 0.3822
P1 P 0.5000 0.2740 0.7035
O1 O 0.0000 0.2000 0.2939
```

## Properties
VASP energy: -3.83 eV/atom
ρ: 6.220 Mg/m³

---

Record 2
The following is a DFT calculation (PBE) of a relaxed Cu5Ag4 crystal.

```
data_Cu5Ag4
_chemical_formula_sum 'Cu10 Ag8'
_cell_length_a 13.8385
_cell_length_b 2.8291
_cell_length_c 6.7855
_cell_angle_alpha 90.00
_cell_angle_beta 96.94
_cell_angle_gamma 90.00
_symmetry_space_group_name_H-M 'C 1 2/m 1'
_symmetry_Int_Tables_number 12
_symmetry_space_group_name_Hall '-C 2y'
loop_
_atom_site_label
_atom_site_type_symbol
_atom_site_fract_x
_atom_site_fract_y
_atom_site_fract_z
Cu1 Cu 0.0000 0.0000 0.0000
Cu2 Cu 0.0587 0.5000 0.3132
Cu3 Cu 0.2197 0.0000 0.3487
Ag1 Ag 0.1063 0.0000 0.6498
Ag2 Ag 0.1637 0.5000 0.0114
```

## Properties
ΔH_f (0 K): 0.10 eV per atom
ρ: 9.435 Mg/m³
offset from the most stable computed form: 56.1 meV/atom

---

Record 3
The following is a DFT calculation (PBE) of a relaxed Hf4InFeC2 crystal.

```
data_Hf4InFeC2
_chemical_formula_sum 'Hf4 In1 Fe1 C2'
_cell_length_a 3.2698
_cell_length_b 3.2698
_cell_length_c 14.1554
_cell_angle_alpha 90.00
_cell_angle_beta 90.00
_cell_angle_gamma 120.00
_symmetry_space_group_name_H-M 'P -6 m 2'
_symmetry_Int_Tables_number 187
_symmetry_space_group_name_Hall 'P -6 2'
loop_
_atom_site_label
_atom_site_type_symbol
_atom_site_fract_x
_atom_site_fract_y
_atom_site_fract_z
Hf1 Hf 0.0000 0.0000 0.1378
Hf2 Hf 0.6667 0.3333 0.3203
In1 In 0.0000 0.0000 0.5000
Fe1 Fe 0.6667 0.3333 0.0000
C1 C 0.3333 0.6667 0.2370
```

## Properties
VASP energy: -9.19 eV/atom
ρ: 11.512 Mg/m³

* * * * *

DFT (PBE-GGA) results for a relaxed NaSnCl2 crystal.

Calculated values
**Final energy**: -0.24720 Ry per atom